_To do_
Next, type out everything underneath without additions.

_Given_
This record from the OMol25 dataset describes the molecule C3H4N4O at a distorted geometry. The level of theory is ωB97M-V/def2-TZVPD.

Positions of all 12 atoms, in Å:
C 2.10560 -0.28893 -0.05902
C -0.16002 -1.16508 -0.16678
C -1.14701 1.36499 -0.05876
H 2.67683 -1.31589 -0.33818
H 0.36259 -2.12124 -0.04179
H -2.93930 0.19110 0.44638
H -1.38343 2.27968 0.12579
N 0.70583 -0.06567 -0.27685
N -1.46769 -0.94077 0.27051
N -2.03390 0.20912 -0.04090
N 0.23518 1.34133 -0.11650
O 3.04532 0.51136 0.25610

The charge is 0. The calculation puts the LUMO energy at -0.22 eV. As for the energy above the lowest of the compared OMol25 structures with the same formula, charge and spin: 5.329 eV. As for the total energy: -11178.6404 eV. As for the structure (SMILES): O=CN1C=NNC=N1. For the HOMO-LUMO gap, the calculation gives 7.94 eV. Its max |F| is 8.98 eV/Å.


No. 1
Molecular formula: C6H10N3O2
Method: DFT, ωB97M-V with the def2-TZVPD basis set

Each line ends with the natural charge from an NBO analysis.
Atoms and positions in Å:
O (-0.669, -2.355, -0.692)  -0.553
C (-1.906, 2.236, 0.877)  0.150
O (0.390, 2.035, -0.701)  -0.557
C (0.867, 0.962, -0.387)  0.723
C (1.223, -2.137, 0.814)  -0.741
N (-2.015, 1.140, 0.297)  -0.418
H (1.175, -1.886, 1.860)  0.261
H (-1.193, 3.012, 0.539)  0.231
C (2.237, 0.739, 0.018)  -0.738
H (2.872, -0.108, -0.465)  0.261
H (-1.964, -1.077, -1.967)  0.464
H (2.218, 0.462, 1.051)  0.258
H (2.909, 1.499, -0.177)  0.273
H (1.232, -3.340, 0.882)  0.286
C (-1.585, 0.286, -0.538)  0.731
H (-2.514, 2.415, 1.749)  0.212
N (-0.047, -0.201, -0.274)  -0.534
C (0.124, -1.623, -0.074)  0.701
N (-2.309, -0.268, -1.464)  -0.692
H (2.185, -1.765, 0.285)  0.253
H (-3.231, -0.024, -1.634)  0.429

structure (SMILES): C=NC(=[NH2+])N(C(C)=O)C(C)=O
energy above the lowest of the compared OMol25 structures with the same formula, charge and spin: 61.2 kcal per mole
total charge: +1
spin multiplicity: 1
LUMO level: -4.8 eV
energy: -549.0690 a.u.

No. 2
Molecular formula: C6H10N3P
Method: DFT, ωB97M-V with the def2-TZVPD basis set

Each line ends with the natural charge from an NBO analysis.
Atoms and positions in Å:
C (-2.045, 1.306, 0.219)  -0.225
H (0.552, 0.561, 1.151)  0.411
N (1.405, 0.107, 1.391)  -1.168
H (3.327, -1.738, -0.777)  0.379
C (-2.137, 0.143, 1.007)  -0.223
H (1.294, -0.712, 2.023)  0.418
C (-1.170, 1.191, -0.914)  -0.217
H (-2.666, 0.173, 2.044)  0.223
H (-2.470, 2.256, 0.464)  0.224
H (-0.699, -2.134, -1.001)  0.226
H (-0.996, 2.192, -1.502)  0.223
N (2.813, 0.911, -0.916)  -1.294
C (-0.728, -0.059, -1.370)  -0.248
H (-0.031, 0.055, -2.217)  0.238
C (-0.945, -1.199, -0.578)  -0.213
N (2.905, -1.645, 0.136)  -1.226
H (-1.731, -1.975, 1.330)  0.228
H (2.597, 1.882, -1.132)  0.418
C (-1.598, -1.073, 0.606)  -0.234
P (2.324, -0.242, 0.034)  2.059

structure (SMILES): [H]/N=P(\N)=N/[H].c1ccccc1
energy above the lowest of the compared OMol25 structures with the same formula, charge and spin: 0.0 kcal per mole
spin multiplicity: 1
LUMO level: 0.6 eV
energy: -740.2117 a.u.

Number 1: maximum force 4.6 eV/Å. Number 2: maximum force 4.2 eV/Å.


{
  "formula": "C5H12N2",
  "method": "ωB97M-V/def2-TZVPD",
  "species": ["C", "C", "N", "C", "C", "C", "N", "H", "H", "H", "H", "H", "H", "H", "H", "H", "H", "H", "H"],
  "xyz": [[0.6735, 1.4490, 1.2146], [0.8308, -0.0591, 1.1157], [2.2853, -0.3766, 1.2574], [0.3012, -0.6804, -0.1740], [-1.2357, -0.7199, -0.1817], [-1.9674, -0.4953, -1.2634], [-1.4496, 0.1429, -2.4346], [0.8847, 1.7233, 2.2443], [-0.3297, 1.7724, 0.9234], [1.3682, 1.9166, 0.5253], [0.3691, -0.5909, 1.9509], [2.7391, -0.4632, 0.3614], [2.4401, -1.1810, 1.8424], [0.6058, -0.0908, -1.0358], [0.5565, -1.7233, -0.3043], [-1.6698, -1.0331, 0.7606], [-3.0029, -0.8079, -1.3698], [-1.2540, 1.1225, -2.2667], [-2.1451, 0.0948, -3.1660]],
  "mulliken_charge": [-1.33, 0.32, -0.66, -0.62, -0.66, -0.17, -0.56, 0.33, 0.34, 0.34, 0.41, 0.24, 0.23, 0.42, 0.24, 0.32, 0.36, 0.20, 0.27],
  "mol_weight_g_mol": 100.16,

_Solution_
This record from the OMol25 dataset describes the molecule C3H4N4O at a distorted geometry. The level of theory is ωB97M-V/def2-TZVPD.

Positions of all 12 atoms, in Å:
C 2.10560 -0.28893 -0.05902
C -0.16002 -1.16508 -0.16678
C -1.14701 1.36499 -0.05876
H 2.67683 -1.31589 -0.33818
H 0.36259 -2.12124 -0.04179
H -2.93930 0.19110 0.44638
H -1.38343 2.27968 0.12579
N 0.70583 -0.06567 -0.27685
N -1.46769 -0.94077 0.27051
N -2.03390 0.20912 -0.04090
N 0.23518 1.34133 -0.11650
O 3.04532 0.51136 0.25610

The charge is 0. The calculation puts the LUMO energy at -0.22 eV. As for the energy above the lowest of the compared OMol25 structures with the same formula, charge and spin: 5.329 eV. As for the total energy: -11178.6404 eV. As for the structure (SMILES): O=CN1C=NNC=N1. For the HOMO-LUMO gap, the calculation gives 7.94 eV. Its max |F| is 8.98 eV/Å.


No. 1
Molecular formula: C6H10N3O2
Method: DFT, ωB97M-V with the def2-TZVPD basis set

Each line ends with the natural charge from an NBO analysis.
Atoms and positions in Å:
O (-0.669, -2.355, -0.692)  -0.553
C (-1.906, 2.236, 0.877)  0.150
O (0.390, 2.035, -0.701)  -0.557
C (0.867, 0.962, -0.387)  0.723
C (1.223, -2.137, 0.814)  -0.741
N (-2.015, 1.140, 0.297)  -0.418
H (1.175, -1.886, 1.860)  0.261
H (-1.193, 3.012, 0.539)  0.231
C (2.237, 0.739, 0.018)  -0.738
H (2.872, -0.108, -0.465)  0.261
H (-1.964, -1.077, -1.967)  0.464
H (2.218, 0.462, 1.051)  0.258
H (2.909, 1.499, -0.177)  0.273
H (1.232, -3.340, 0.882)  0.286
C (-1.585, 0.286, -0.538)  0.731
H (-2.514, 2.415, 1.749)  0.212
N (-0.047, -0.201, -0.274)  -0.534
C (0.124, -1.623, -0.074)  0.701
N (-2.309, -0.268, -1.464)  -0.692
H (2.185, -1.765, 0.285)  0.253
H (-3.231, -0.024, -1.634)  0.429

structure (SMILES): C=NC(=[NH2+])N(C(C)=O)C(C)=O
energy above the lowest of the compared OMol25 structures with the same formula, charge and spin: 61.2 kcal per mole
total charge: +1
spin multiplicity: 1
LUMO level: -4.8 eV
energy: -549.0690 a.u.

No. 2
Molecular formula: C6H10N3P
Method: DFT, ωB97M-V with the def2-TZVPD basis set

Each line ends with the natural charge from an NBO analysis.
Atoms and positions in Å:
C (-2.045, 1.306, 0.219)  -0.225
H (0.552, 0.561, 1.151)  0.411
N (1.405, 0.107, 1.391)  -1.168
H (3.327, -1.738, -0.777)  0.379
C (-2.137, 0.143, 1.007)  -0.223
H (1.294, -0.712, 2.023)  0.418
C (-1.170, 1.191, -0.914)  -0.217
H (-2.666, 0.173, 2.044)  0.223
H (-2.470, 2.256, 0.464)  0.224
H (-0.699, -2.134, -1.001)  0.226
H (-0.996, 2.192, -1.502)  0.223
N (2.813, 0.911, -0.916)  -1.294
C (-0.728, -0.059, -1.370)  -0.248
H (-0.031, 0.055, -2.217)  0.238
C (-0.945, -1.199, -0.578)  -0.213
N (2.905, -1.645, 0.136)  -1.226
H (-1.731, -1.975, 1.330)  0.228
H (2.597, 1.882, -1.132)  0.418
C (-1.598, -1.073, 0.606)  -0.234
P (2.324, -0.242, 0.034)  2.059

structure (SMILES): [H]/N=P(\N)=N/[H].c1ccccc1
energy above the lowest of the compared OMol25 structures with the same formula, charge and spin: 0.0 kcal per mole
spin multiplicity: 1
LUMO level: 0.6 eV
energy: -740.2117 a.u.

Number 1: maximum force 4.6 eV/Å. Number 2: maximum force 4.2 eV/Å.


{
  "formula": "C5H12N2",
  "method": "ωB97M-V/def2-TZVPD",
  "species": ["C", "C", "N", "C", "C", "C", "N", "H", "H", "H", "H", "H", "H", "H", "H", "H", "H", "H", "H"],
  "xyz": [[0.6735, 1.4490, 1.2146], [0.8308, -0.0591, 1.1157], [2.2853, -0.3766, 1.2574], [0.3012, -0.6804, -0.1740], [-1.2357, -0.7199, -0.1817], [-1.9674, -0.4953, -1.2634], [-1.4496, 0.1429, -2.4346], [0.8847, 1.7233, 2.2443], [-0.3297, 1.7724, 0.9234], [1.3682, 1.9166, 0.5253], [0.3691, -0.5909, 1.9509], [2.7391, -0.4632, 0.3614], [2.4401, -1.1810, 1.8424], [0.6058, -0.0908, -1.0358], [0.5565, -1.7233, -0.3043], [-1.6698, -1.0331, 0.7606], [-3.0029, -0.8079, -1.3698], [-1.2540, 1.1225, -2.2667], [-2.1451, 0.0948, -3.1660]],
  "mulliken_charge": [-1.33, 0.32, -0.66, -0.62, -0.66, -0.17, -0.56, 0.33, 0.34, 0.34, 0.41, 0.24, 0.23, 0.42, 0.24, 0.32, 0.36, 0.20, 0.27],
  "mol_weight_g_mol": 100.16,